Monday, May 21, 2007

Sun spots and black holes

This probably looks to you like someone vacationing in Hawaii. In actuality it is, however, the bottom half of a sentient creature contemplating the utter destruction of its species and the planet they rode in on.
But, seriously, what could be as bad as all that? Well, according to Josheem - you remember - the guarder of the Fae Realm - the one with the "fleur-de-lis kabob". According to Josheem we are about to enter a new dimension (did I just hear Rod Serling's voice?). And we are not going to like the journey although if we were able to survive the journey we would enjoy the destination.
So why would I be thinking about the annihilation of our planet when I am in one of the most beautiful places on said planet? Because just before I left on vacation (just after buying the nice comfy sandals that gave me that band aid) Josheem told me that we are soon to be swallowed up in a man made quantum black hole. And ever since I heard about it, all of the articles I seem to be reading, as well as the book I am listening to, seem be about mankind's great adventure into making quantum black holes.
A week spent worrying about the erasure of mankind's past, present and future while looking at volcanic fed vegetation and more water than we could possibly ever use. (By the way, how can we truly consider ourselves at any kind of technological pinnacle when we can't even figure out how to extract pure water out of the ocean inexpensively enough that we couldn't simply irrigate, lets say, the Sahara? Hmmm?)
My wife and I watched my daughter graduate with honors. We wandered through stores and I wondered who the people were who would pay $3,000 for a dress and thanked my lucky stars that I married a woman who gets buyer's remorse before she buys. We rented an umbrella (with money that could have gone toward housing a whole village in Africa) and laid around for at least a couple of hours a day thinking about the end of everything.
And I sculpted! As I mentioned before in these writings, I sculpt just about everywhere I go. The people in Hawaii have wonderfully diverse faces and I learned much about recognizing features. And yet the end of the world weighed heavy on my mind. What could I do? How can we stop the inevitable?
I guess it would be not so bad if it was just the annihilation of the human race. At least then the planet would still be around and there would be the possibility of some creature - from another planet, or dimension or from our planet at a later time - running across our fossilized remains and piecing our history together. Maybe the future creatures would marvel at our art, our music or simply be intrigued by our stubbornness or diversity. Something, anything to keep our memories alive in the universe.
But, to have it all end up with a tiny vacuum cleaner coming by and sucking us up into oblivion, leaving no trace whatever - we were never here. We never existed. ... it was just too horrible to think about! I guess that would explain why there are no aliens waving flags out their in the stars: intelligent species all over the universe get to a spot in their evolution where they discover how to create a black hole and BAM! the universe has one less trouble maker to worry about.
When I arrived home I confronted Josheem and pleaded with her to tell me some way that we might avert our fate. She said "huh?" I said: "you, know, the annihilation of the whole planet in a man made black whole". "Oh, that," she looked a little sheepish, "I was just kidding. Your species goes on for a very long time - although there are times I think they would rather not"
"What??? How could you do that to me?" Josheem simply said "Well, you humans rarely take what we say seriously. You always stubbornly hold on to your hopes and little paradigms of reality... we say things like that all the time and you guys never really hear us. If you are actually going to listen to me you should at least warn me so I can be more careful with my words."
After awhile I calmed down and told her that I was listening and would like to know the truth about the quantum black holes that we seem so bent on creating. And that is when I learned that she was only partly kidding. There are Faeries all over the world saying that the world will end if we create quantum black holes - it is there standard response to the subject.
**Data records that have nothing to do with the piece**
~~~
1.
VASP calculation (PBE-GGA) on a geometry-optimized AsRhCl2 structure.

Calculated values
Energy relative to the elements, uncorrected = -1.53 eV/f.u.
Total moment = 0.00 μB/f.u.
E_tot = -17.22 eV/cell
Space-group type = No. 6
ΔE to the lowest computed polymorph = 217.6 meV per atom
D(E_F) = 0.10 states/eV per cell
V = 21.7 A^3/atom

Cell lengths 3.5385, 5.4988, 5.9702 Å; angles 48.32, 90.00, 90.00 degrees
With the nearest neighbours (Å) after each atom.
Sites, in units of the cell vectors:
Cl (0.5000, 0.2733, 0.3354)  1 As 2.37
Cl (0.0000, 0.9817, 0.9845)  2 Rh 2.38-2.44
Rh (0.0000, 0.5483, 0.5147)  2 As 2.36, 2 Cl 2.38-2.44
As (0.5000, 0.6967, 0.6653)  2 Rh 2.36, 1 Cl 2.37

---

2.
VASP calculation (PBE-GGA) on a geometry-optimized Tb3CeDy2 structure.

Calculated values
Total moment = 1.06 μB/f.u.
E_tot = -57.43 eV/cell
Space-group type = No. 65
Formation energy = 0.05 eV/atom
D(E_F) = 21.19 states/eV per cell
V = 31.6 A^3/atom

Cell lengths 5.0275, 10.0343, 9.3829 Å; angles 122.32, 105.54, 90.00 degrees
With the nearest neighbours (Å) after each atom.
Sites, in units of the cell vectors:
Tb (0.5000, 0.2500, 0.0000)  4 Tb 3.53, 4 Dy 3.55, 4 Ce 3.55
Dy (0.6664, 0.1666, 0.3332)  8 Tb 3.55-3.57, 2 Ce 3.55, 2 Dy 3.55
Tb (0.8355, 0.5855, 0.6710)  2 Ce 3.52, 4 Tb 3.53-3.60, 6 Dy 3.55-3.57
Tb (0.8355, 0.0855, 0.6710)  2 Ce 3.52, 4 Tb 3.53-3.60, 6 Dy 3.55-3.57
Ce (0.0000, 0.5000, 0.0000)  8 Tb 3.52-3.55, 4 Dy 3.55
Tb (0.1645, 0.4145, 0.3290)  2 Ce 3.52, 4 Tb 3.53-3.60, 6 Dy 3.55-3.57
Tb (0.1645, 0.9145, 0.3290)  2 Ce 3.52, 4 Tb 3.53-3.60, 6 Dy 3.55-3.57
Dy (0.3333, 0.3334, 0.6668)  8 Tb 3.55-3.57, 2 Ce 3.55, 2 Dy 3.55
Ce (0.0000, 0.0000, 0.0000)  8 Tb 3.52-3.55, 4 Dy 3.55
Dy (0.3336, 0.8334, 0.6668)  8 Tb 3.55-3.57, 2 Ce 3.55, 2 Dy 3.55
Dy (0.6667, 0.6666, 0.3332)  8 Tb 3.55-3.57, 2 Ce 3.55, 2 Dy 3.55
Tb (0.5000, 0.7500, 0.0000)  4 Tb 3.53, 4 Dy 3.55, 4 Ce 3.55
~~~
Even though they know they can't change the course of fustory - (her word for future history) - they still can't help but throw in the jab about the end of the world. Kind of like when we know we have lost an argument and we can't help but mutter under our breath "but I don't have to like it" or "so's your mother" or some other rebellion against the inevitable.
Josheem says that in fustory we develop a tiny quantum black hole that manages to stay intact for a few minutes. After pouring over the results for decades it is generally accepted that the black hole had burrowed a small hole into another dimension. It takes scientists another couple of centuries to burrow through with anything bigger than a few molecules, but once they do, humans soon flood the other dimensions and the Fae Realm is tainted forever.
They don't like that part of fustory but they know it well happen and they know that we will not be able to find which dimension they fled to for many thousands of years. And by then humans are a much less aggressive species so it all works out in the end.
And of course, Josheem doesn't mind me telling you this because she knows (for a fact) that no one takes these blogs seriously. Just as deserve a worry free vacation.